== Entries ==
No. 1
# C4HCl2N

A single C4HCl2N molecule at a distorted geometry (ωB97M-V/def2-TZVPD, OMol25).

Cartesian coordinates (Å):
N1 0.84 -0.84 -0.03
Cl1 -1.38 -2.31 0.02
C1 1.25 0.43 0.11
C2 0.08 1.25 0.07
C3 -1.04 0.50 0.01
H1 -2.08 0.91 -0.08
C4 -0.54 -0.84 -0.10
Cl2 2.88 0.90 0.01

Properties
Energy relative to the best compared isomer or geometry (same formula, charge and spin): 42.20 kcal/mol
SMILES: ClC1=C=CC(Cl)=N1
E_tot: -1128.010372 hartree
Maximum force: 0.0506 Eh/bohr



No. 2
# C6H6N2O2

A single C6H6N2O2 molecule at a distorted geometry (ωB97M-V/def2-TZVPD, OMol25).

Cartesian coordinates (Å):
C1 2.62 -0.03 0.00
H1 0.58 2.39 0.53
H2 -3.44 0.23 0.02
C2 0.35 -0.76 -0.40
N1 2.22 1.14 0.30
H3 -0.39 -1.59 -0.65
C3 0.87 1.34 0.29
H4 3.79 -0.19 -0.04
C4 -1.56 0.83 -0.22
H5 2.07 -2.08 -0.70
O1 -2.18 -1.42 0.47
C5 1.72 -1.10 -0.30
N2 -2.52 -0.15 -0.22
C6 -0.14 0.52 -0.16
O2 -1.97 1.99 -0.27
H6 -2.03 -1.13 1.36

Properties
Energy relative to the best compared isomer or geometry (same formula, charge and spin): 60.07 kcal/mol
SMILES: O=C(NO)c1cccnc1
E_tot: -492.147722 hartree
Maximum force: 0.0863 Eh/bohr



No. 3
# C49H92FN5O7

4 unconnected molecules or ions with the total composition C49H92FN5O7 at a distorted geometry (ωB97M-V/def2-TZVPD, OMol25).

Cartesian coordinates (Å):
H1 0.29 -6.14 -1.24
H2 5.69 -6.44 5.99
H3 -5.78 -1.11 -2.14
H4 -11.18 4.59 -3.10
H5 4.70 1.30 -0.41
C1 2.34 -1.22 -1.48
H6 6.73 1.91 0.53
H7 -10.50 4.16 -4.67
C2 2.84 0.73 -3.60
H8 8.76 -6.20 4.11
H9 4.30 -7.46 5.83
C3 -5.81 -0.39 -0.11
H10 5.84 -8.00 5.17
H11 -1.48 6.29 1.57
H12 -6.44 1.49 0.89
H13 -8.88 3.20 -5.69
H14 5.94 1.80 -3.00
H15 -3.42 3.07 5.49
C4 -3.09 -0.38 -2.72
C5 5.20 1.14 -2.53
H16 2.65 1.17 -4.59
H17 -10.04 1.37 -4.50
H18 -3.82 -1.87 -1.54
H19 -8.66 1.11 -3.46
C6 -8.31 2.54 -5.02
H20 -1.43 -0.54 -1.36
O1 -3.03 2.82 1.79
C7 -5.20 -0.41 -1.52
C8 8.14 1.02 -0.83
H21 3.62 -4.81 3.31
H22 -0.51 -3.71 -1.86
C9 7.91 -4.86 2.25
C10 8.38 -2.44 -2.01
C11 8.60 0.10 0.33
C12 1.31 -0.82 -2.30
H23 8.30 -3.53 -1.95
H24 -11.72 3.16 -3.97
C13 5.05 -4.09 4.73
C14 -6.46 4.81 -2.51
H25 7.39 -1.98 -2.15
H26 -3.40 0.66 -2.88
N1 -2.45 3.88 2.28
C15 -7.70 4.32 -3.26
C16 -10.62 2.15 -1.93
C17 -5.51 0.96 0.64
H27 -1.36 1.74 3.88
H28 8.33 -4.77 5.04
H29 -3.66 2.00 4.12
H30 3.33 -0.24 -3.77
C18 1.32 -5.77 -1.26
H31 3.18 -0.54 -1.32
H32 8.67 -4.15 2.59
C19 6.95 -5.20 3.40
H33 9.70 0.16 0.37
H34 2.05 -6.55 -1.03
C20 9.04 -1.96 -0.71
H35 3.36 -7.13 2.44
C21 0.28 -2.97 -1.77
C22 -3.53 3.05 4.40
C23 5.56 0.98 -1.01
C24 4.82 -6.50 3.95
H36 4.32 -8.45 3.13
H37 8.24 0.41 1.32
C25 -2.29 3.68 3.75
C26 -0.08 3.15 1.85
C27 -8.24 5.62 -3.92
H38 -9.30 5.59 -4.16
C28 -1.48 4.03 -0.02
H39 -2.29 4.70 -0.31
C29 -0.68 5.56 1.67
H40 -4.44 3.59 4.15
H41 5.29 0.15 -2.99
H42 6.92 -3.18 4.18
H43 -1.70 4.96 5.42
N2 -8.74 3.74 -2.36
H44 -0.91 2.82 5.18
C30 -9.80 2.89 -2.99
H45 4.51 -3.15 4.83
C31 7.92 -5.64 4.52
H46 -1.74 3.02 -0.34
H47 -3.36 -0.95 -3.63
F1 0.66 -4.67 0.84
H48 8.92 1.79 -0.95
H49 -6.60 3.84 -5.07
H50 -0.59 4.32 -0.59
H51 -10.04 1.39 -1.41
H52 -6.00 -1.55 1.44
H53 5.82 -3.44 2.85
C32 1.40 0.54 -2.97
N3 2.37 -2.40 -0.85
C33 6.81 1.79 -0.57
O2 -8.12 3.01 -1.47
C34 -1.58 -0.36 -2.43
O3 -0.85 -1.41 -3.18
H54 -4.96 0.76 1.57
H55 -1.17 0.64 -2.67
H56 0.67 0.63 -3.79
H57 0.84 3.43 1.32
H58 3.30 -5.32 4.95
H59 1.24 1.35 -2.24
H60 5.43 -4.34 5.73
H61 -5.81 5.37 -3.19
O4 8.20 -1.28 0.16
C35 -2.19 5.05 4.46
O5 -5.42 -1.51 0.67
O6 10.18 -2.19 -0.47
O7 5.60 -6.15 1.84
H62 3.90 2.60 -3.42
C36 6.21 -3.90 3.76
H63 -1.65 5.81 3.90
H64 -0.33 2.14 1.50
N4 -3.79 -0.86 -1.51
H65 3.18 -2.63 -0.27
H66 -6.91 -0.42 -0.20
C37 -7.21 3.32 -4.32
C38 0.19 3.10 3.35
H67 -7.87 1.77 -5.65
H68 -11.03 2.84 -1.20
H69 -3.18 5.47 4.63
H70 7.41 -4.40 1.40
C39 3.83 -7.50 3.35
H71 3.26 1.96 -1.83
C40 4.10 -5.17 4.22
H72 -11.46 1.63 -2.40
H73 -0.19 5.72 2.63
H74 8.02 0.44 -1.76
H75 2.55 -4.68 0.11
H76 6.77 2.78 -1.03
C41 0.22 -1.73 -2.43
H77 -6.72 5.48 -1.69
H78 5.73 -0.09 -0.77
H79 9.01 -2.10 -2.84

== Request ==
Copy the whole of the rows further above exactly.

== Result ==
No. 1
# C4HCl2N

A single C4HCl2N molecule at a distorted geometry (ωB97M-V/def2-TZVPD, OMol25).

Cartesian coordinates (Å):
N1 0.84 -0.84 -0.03
Cl1 -1.38 -2.31 0.02
C1 1.25 0.43 0.11
C2 0.08 1.25 0.07
C3 -1.04 0.50 0.01
H1 -2.08 0.91 -0.08
C4 -0.54 -0.84 -0.10
Cl2 2.88 0.90 0.01

Properties
Energy relative to the best compared isomer or geometry (same formula, charge and spin): 42.20 kcal/mol
SMILES: ClC1=C=CC(Cl)=N1
E_tot: -1128.010372 hartree
Maximum force: 0.0506 Eh/bohr



No. 2
# C6H6N2O2

A single C6H6N2O2 molecule at a distorted geometry (ωB97M-V/def2-TZVPD, OMol25).

Cartesian coordinates (Å):
C1 2.62 -0.03 0.00
H1 0.58 2.39 0.53
H2 -3.44 0.23 0.02
C2 0.35 -0.76 -0.40
N1 2.22 1.14 0.30
H3 -0.39 -1.59 -0.65
C3 0.87 1.34 0.29
H4 3.79 -0.19 -0.04
C4 -1.56 0.83 -0.22
H5 2.07 -2.08 -0.70
O1 -2.18 -1.42 0.47
C5 1.72 -1.10 -0.30
N2 -2.52 -0.15 -0.22
C6 -0.14 0.52 -0.16
O2 -1.97 1.99 -0.27
H6 -2.03 -1.13 1.36

Properties
Energy relative to the best compared isomer or geometry (same formula, charge and spin): 60.07 kcal/mol
SMILES: O=C(NO)c1cccnc1
E_tot: -492.147722 hartree
Maximum force: 0.0863 Eh/bohr



No. 3
# C49H92FN5O7

4 unconnected molecules or ions with the total composition C49H92FN5O7 at a distorted geometry (ωB97M-V/def2-TZVPD, OMol25).

Cartesian coordinates (Å):
H1 0.29 -6.14 -1.24
H2 5.69 -6.44 5.99
H3 -5.78 -1.11 -2.14
H4 -11.18 4.59 -3.10
H5 4.70 1.30 -0.41
C1 2.34 -1.22 -1.48
H6 6.73 1.91 0.53
H7 -10.50 4.16 -4.67
C2 2.84 0.73 -3.60
H8 8.76 -6.20 4.11
H9 4.30 -7.46 5.83
C3 -5.81 -0.39 -0.11
H10 5.84 -8.00 5.17
H11 -1.48 6.29 1.57
H12 -6.44 1.49 0.89
H13 -8.88 3.20 -5.69
H14 5.94 1.80 -3.00
H15 -3.42 3.07 5.49
C4 -3.09 -0.38 -2.72
C5 5.20 1.14 -2.53
H16 2.65 1.17 -4.59
H17 -10.04 1.37 -4.50
H18 -3.82 -1.87 -1.54
H19 -8.66 1.11 -3.46
C6 -8.31 2.54 -5.02
H20 -1.43 -0.54 -1.36
O1 -3.03 2.82 1.79
C7 -5.20 -0.41 -1.52
C8 8.14 1.02 -0.83
H21 3.62 -4.81 3.31
H22 -0.51 -3.71 -1.86
C9 7.91 -4.86 2.25
C10 8.38 -2.44 -2.01
C11 8.60 0.10 0.33
C12 1.31 -0.82 -2.30
H23 8.30 -3.53 -1.95
H24 -11.72 3.16 -3.97
C13 5.05 -4.09 4.73
C14 -6.46 4.81 -2.51
H25 7.39 -1.98 -2.15
H26 -3.40 0.66 -2.88
N1 -2.45 3.88 2.28
C15 -7.70 4.32 -3.26
C16 -10.62 2.15 -1.93
C17 -5.51 0.96 0.64
H27 -1.36 1.74 3.88
H28 8.33 -4.77 5.04
H29 -3.66 2.00 4.12
H30 3.33 -0.24 -3.77
C18 1.32 -5.77 -1.26
H31 3.18 -0.54 -1.32
H32 8.67 -4.15 2.59
C19 6.95 -5.20 3.40
H33 9.70 0.16 0.37
H34 2.05 -6.55 -1.03
C20 9.04 -1.96 -0.71
H35 3.36 -7.13 2.44
C21 0.28 -2.97 -1.77
C22 -3.53 3.05 4.40
C23 5.56 0.98 -1.01
C24 4.82 -6.50 3.95
H36 4.32 -8.45 3.13
H37 8.24 0.41 1.32
C25 -2.29 3.68 3.75
C26 -0.08 3.15 1.85
C27 -8.24 5.62 -3.92
H38 -9.30 5.59 -4.16
C28 -1.48 4.03 -0.02
H39 -2.29 4.70 -0.31
C29 -0.68 5.56 1.67
H40 -4.44 3.59 4.15
H41 5.29 0.15 -2.99
H42 6.92 -3.18 4.18
H43 -1.70 4.96 5.42
N2 -8.74 3.74 -2.36
H44 -0.91 2.82 5.18
C30 -9.80 2.89 -2.99
H45 4.51 -3.15 4.83
C31 7.92 -5.64 4.52
H46 -1.74 3.02 -0.34
H47 -3.36 -0.95 -3.63
F1 0.66 -4.67 0.84
H48 8.92 1.79 -0.95
H49 -6.60 3.84 -5.07
H50 -0.59 4.32 -0.59
H51 -10.04 1.39 -1.41
H52 -6.00 -1.55 1.44
H53 5.82 -3.44 2.85
C32 1.40 0.54 -2.97
N3 2.37 -2.40 -0.85
C33 6.81 1.79 -0.57
O2 -8.12 3.01 -1.47
C34 -1.58 -0.36 -2.43
O3 -0.85 -1.41 -3.18
H54 -4.96 0.76 1.57
H55 -1.17 0.64 -2.67
H56 0.67 0.63 -3.79
H57 0.84 3.43 1.32
H58 3.30 -5.32 4.95
H59 1.24 1.35 -2.24
H60 5.43 -4.34 5.73
H61 -5.81 5.37 -3.19
O4 8.20 -1.28 0.16
C35 -2.19 5.05 4.46
O5 -5.42 -1.51 0.67
O6 10.18 -2.19 -0.47
O7 5.60 -6.15 1.84
H62 3.90 2.60 -3.42
C36 6.21 -3.90 3.76
H63 -1.65 5.81 3.90
H64 -0.33 2.14 1.50
N4 -3.79 -0.86 -1.51
H65 3.18 -2.63 -0.27
H66 -6.91 -0.42 -0.20
C37 -7.21 3.32 -4.32
C38 0.19 3.10 3.35
H67 -7.87 1.77 -5.65
H68 -11.03 2.84 -1.20
H69 -3.18 5.47 4.63
H70 7.41 -4.40 1.40
C39 3.83 -7.50 3.35
H71 3.26 1.96 -1.83
C40 4.10 -5.17 4.22
H72 -11.46 1.63 -2.40
H73 -0.19 5.72 2.63
H74 8.02 0.44 -1.76
H75 2.55 -4.68 0.11
H76 6.77 2.78 -1.03
C41 0.22 -1.73 -2.43
H77 -6.72 5.48 -1.69
H78 5.73 -0.09 -0.77
H79 9.01 -2.10 -2.84